Allergic rhinosinusitis is an increasingly common disease. The mechanisms that contribute to the inexorable increase in the number of allergic patients are many and varied. An allergic reaction is a dysfunction of our immune system and can make you sick anyone and at any age. The intensity of symptoms seems to decrease when you are getting older. This disease corresponds to an inflammation of the mucous membrane of the nasal cavities and sinus cavities. This inflammation is secondary to joint stimulation of our sensory nerves and our system immune by multiple factors. Inflammation of the lining of the pits nasals is always accompanied by that of the sinuses and vice versa, we will therefore speak still rhinosinusitis.
How does it work normally? In a normal situation, the nose is an interface between our environment and inside our body. A healthy adult breathes 14,000 to 18,000 liters of air per day.
The nasal organ has an essential protective role for our respiratory system. Despite its small size, it is a very effective breathable air conditioner. When breathing through the nasal cavity, the air is warmed, humidified, and cleaned as in a filter. Over 90% of inhaled particles are trapped as they pass through the mucus layer covering the lining of the nose nasal. This mucus is like a treadmill in constant motion towards the throat thanks to the beating of the cilia on the surface of the cells that constitute the nasal mucosa.
This self-cleaning system is however very brittle. If inflamed, it quickly loses its effectiveness. Besides its role important in the conditioning of inspired air, the nasal mucosa is also an organ particularly sensitive to all irritants that may be present in our environment. The endings of the Olfactory nerve allow us to smell the smells that surround us. The sensitive fibers of the trigeminal nerve can detect stimuli mechanical, thermal, or chemical We can consider the nose as an alarm system that protects the lower respiratory tract from inhaling potentially hazardous substances.
Yes, it is estimated that this disease affects around 25-30% of the population. Most epidemiological studies have shown that the number of individuals who suffer from allergic rhino-sinusitis had significantly increased over the past 30 years, especially in developed countries and industrialized. The number of people in whom the disease has occurred over the course of a year has increased by about 4 times in 30 years. Rhinosinusitis allergic can be divided into two main groups: rhinosinusitis seasonal or periodic, usually secondary to an allergy to pollen, and perennial allergic rhinosinusitis (present all year round). Seasonal allergic rhinosinusitis is the most common. Several symptomatic patients seem to depend on pollen concentration in the air. Symptoms of allergic pollen rhinosinusitis appear to be aggravated by air pollution. Allergic rhinosinusitis seasonal may appear already before school age, but it is more common during teenagehood. Seasonal allergic rhinosinusitis, as well as conjunctivitis (eye inflammation), and seasonal asthma, rarely appear after the age of 35, especially if the affected person stays in the same region geographical. In general, symptoms decrease with age and are rare after sixty. Perennial allergic rhinosinusitis affects around 5 to 10% of the population. Symptoms are usually quite rare before the age of 3. The people most affected are between 15 and 30 years old. The number of new patients and the intensity of symptoms seem to decrease gradually after the age of 35. Rhinosinusitis perennial allergy is frequently associated with bronchial asthma. It is important to note that around 70 to 80% of patients with asthma have allergic rhinosinusitis perennial. On the other hand, around 50% of patients with Perennial allergic rhinosinusitis have bronchial asthma.
Records of molecules, kept here for reference.
<<<
Computed, not measured: C27H28Cl3ErN8OSSe as an isolated structure at a distorted geometry, with ωB97M-V/def2-TZVPD.

Energy relative to the best compared isomer or geometry (same formula, charge and spin) (kJ/mol): 65.50
Net charge: +2
HOMO-LUMO gap (spin up / spin down) (eV): 7.22 / 7.23
E_LUMO (spin up / spin down) (eV): -5.7114 / -5.7079
Highest occupied orbital energy (spin up / spin down) (eV): -12.93 / -12.93
Multiplicity: 4
DFT total energy (hartree): -6753.94537

Geometry (Å):
Er: 0.038 -0.189 -0.426
C: -1.198 -2.105 2.188
C: -0.016 -2.890 1.658
N: 1.042 -1.997 1.141
C: 1.833 -1.350 2.212
C: 1.600 0.140 2.329
C: 2.524 0.944 2.973
C: 2.261 2.301 3.093
C: 1.075 2.808 2.585
C: 0.201 1.943 1.947
C: -1.118 2.450 1.413
N: -1.721 1.570 0.393
C: -2.968 0.922 0.835
C: -2.660 -0.222 1.780
N: -1.789 -1.239 1.147
N: 0.469 0.637 1.806
H: -0.867 -1.459 3.002
H: -1.935 -2.800 2.598
H: -0.335 -3.529 0.837
H: 0.365 -3.526 2.464
H: 1.671 -2.590 0.613
H: 2.897 -1.514 2.040
H: 1.597 -1.806 3.179
H: 3.437 0.523 3.374
H: 2.977 2.957 3.570
H: 0.839 3.860 2.672
H: -0.962 3.448 1.004
H: -1.801 2.566 2.261
H: -1.957 2.153 -0.402
H: -3.491 0.549 -0.045
H: -3.635 1.629 1.340
H: -3.594 -0.662 2.136
H: -2.122 0.168 2.645
H: -2.381 -1.824 0.561
Cl: -3.857 3.654 -5.483
C: -2.686 3.014 -4.397
C: -2.867 1.756 -3.855
C: -1.910 1.286 -2.981
Cl: -2.075 -0.303 -2.270
C: -0.764 1.993 -2.591
O: 0.094 1.458 -1.723
C: -0.632 3.273 -3.179
Cl: 0.729 4.257 -2.780
C: -1.570 3.767 -4.064
H: -3.728 1.158 -4.120
H: -1.434 4.748 -4.499
Se: 2.348 2.210 -0.661
N: 2.370 0.430 -0.549
C: 3.650 0.053 -0.445
C: 4.114 -1.283 -0.399
C: 5.455 -1.506 -0.270
C: 6.387 -0.437 -0.188
C: 5.984 0.861 -0.263
C: 4.599 1.137 -0.388
N: 4.059 2.352 -0.453
H: 3.413 -2.099 -0.520
H: 5.827 -2.522 -0.248
H: 7.438 -0.669 -0.078
H: 6.687 1.682 -0.232
S: 1.054 -1.771 -2.554
C: 0.891 -3.442 -2.482
N: 1.324 -4.163 -3.567
C: 1.227 -5.503 -3.642
C: 0.677 -6.187 -2.600
C: 0.258 -5.421 -1.503
N: 0.361 -4.106 -1.437
H: 1.717 -3.626 -4.330
H: 1.597 -5.979 -4.539
H: 0.573 -7.260 -2.614
H: -0.180 -5.910 -0.639

Mulliken atomic charge list, values in e, 5 entries:
1. Er 0.6520
2. C -0.9341
3. C -0.6773
4. N -0.0040
5. C -1.9027



Computed, not measured: a 2-piece molecular cluster, C27H28ClN2 overall at a distorted geometry, with ωB97M-V/def2-TZVPD.

Net charge: +1
HOMO-LUMO gap (eV): 8.10
E_LUMO (eV): -2.8974
Highest occupied orbital energy (eV): -11.00
Multiplicity: 1
DFT total energy (hartree): -1615.12066

Geometry (Å):
Cl: -3.715 -2.630 -5.348
C: -2.865 -2.591 -3.867
C: -3.559 -2.329 -2.677
C: -2.840 -2.184 -1.492
C: -1.468 -2.404 -1.457
C: -0.707 -2.226 -0.162
C: 0.572 -3.101 -0.043
C: 0.611 -3.568 1.428
C: -0.746 -3.187 1.982
C: -1.467 -2.443 1.116
C: -0.783 -2.675 -2.644
C: -1.476 -2.804 -3.853
H: -4.641 -2.216 -2.667
H: -3.369 -1.939 -0.574
H: 0.534 -3.964 -0.726
H: 1.479 -2.517 -0.279
H: 0.865 -4.631 1.507
H: 1.446 -3.043 1.919
H: -1.021 -3.520 2.983
H: -2.419 -1.929 1.270
H: 0.301 -2.814 -2.622
>>>
Inflammation is the basis of allergic rhinosinusitis. The first symptom that appears is usually pruritus (itching or tingling) that is felt in the nose, sometimes in the mouth, in the eyes, and sometimes ears. This itching is usually followed by sneezing and then a discharge of profuse watery secretions. Finally, nasal obstruction appears which may be accompanied by headaches and mucus discharge from the back of the nose that is associated with burning or itching in the throat.
The investigations may be performed by the primary care physician (pediatrician, generalist, or internist) in collaboration with specialists in allergology, pneumology, or specialists in otolaryngology (ENT) who also have training in allergology. Their role is to identify the allergen(s) responsible for the disease.
The identification of these allergenic substances will be done mainly by a detailed interrogation, in particular on the time of year in which appear symptoms and characteristics of the affected person’s environment. The questioning will be followed by allergy skin tests which currently represent the most sensitive method for making the diagnosis. These tests are painless and may be achieved in children, even from the first year of life. We can also take a blood test to determine if the presence of total IgE is greater higher than average and check for the presence of type E immunoglobulins (IgE) specific to certain allergens.
It is sometimes very useful to combine allergological investigations with an examination of the nasal cavity. This examination is carried out by the specialist with an endoscope which allows to go and examine the appearance of the mucous membrane in the nasal cavity (color, edema, nature of secretions) and the internal architecture of the nasal cavity (malformations septum, hypertrophy of the turbinates, presence of polyps, etc.). When the balance sheet allergological highlights a susceptibility to certain allergens, we will talk about specific hyper-reactivity. When this assessment is negative, but symptoms and characteristic clinical signs are identified, we will speak of hyper-reactivity not specific.
Where possible, elimination of contact with the allergen remains the most effective basis of treatment. Avoidance measures are sometimes difficult to achieve when there is an allergy to plant pollens abundant in the environment. On the other hand, avoidance is possible when it comes to an allergy to substances encountered inside the home or during professional activity. In the case of perennial allergic rhinosinusitis caused by dust mites, avoidance measures may be proposed to decrease exposure to the mites. In particular, appropriate bedding, removal of rugs and carpets in the bedroom, and anti-dust mite cover for the mattress. In the event of an allergy to animals, avoidance measures are sometimes difficult to carry out due to psychological and emotional factors.

During the last ten years, the lavage of the nasal passages has developed considerably. Its effectiveness has been proven by numerous scientific studies. Washing the nasal lining with lukewarm salt water is the best way to decrease the number of allergens on the lining. Indeed, when the mucosa is the site of an inflammatory reaction, the self-cleaning system (mucociliary transport) is always disturbed. Many ready-to-use solutions are available in pharmacies. A nose wash should always be followed by blowing your nose. It should be done before applying a corticosteroid spray.
Desensitization or immunotherapy treatment is the most effective treatment for modifying the immune response to an allergen. The effectiveness of desensitization does not apply to all allergies. It has been well documented, in particular for different pollens (grasses, trees, herbs) and mites. This type of treatment will be all the more effective when it is done quickly and the number of allergens to which the patient is sensitized is limited.
- Antihistamines are very often used in the treatment of allergic rhinosinusitis by the systemic or local route. These drugs reduce the flow of mucus, the intensity of the itching, and the frequency of sneezing, but appear to be less effective for nasal obstruction. Antihistamines have often been criticized for causing drowsiness and severe fatigue. These side effects can be reduced if these drugs are taken at night. Newer antihistamines now available have far fewer side effects of this type.
- Local anti-inflammatory molecules, such as topical corticosteroids, which are pharmacological agents with beneficial effects similar to those of cortisone, without having the harmful effects. The newly developed new molecules dramatically decrease inflammation in the rhino-sinus mucous membranes, while having very few side effects. When used for a long time, they can cause nasal dryness with the development of scabs and sometimes bleeding. These side effects can be easily controlled by applying ointment.